____________
Structure and calculated PXRD pattern of Ca2AlMoO5 (the GGA+U geometry in the Materials Project; Cu Kα (λ = 1.5418 Å)).
Intensities are scaled so that the largest is 100.

Principal peaks in the range 10 to 90 degrees two-theta, in order of rising 2θ:
| d (Å) | Rel. int. |
| --- | --- |
| 7.247 | 100 |
| 4.092 | 26 |
| 3.533 | 30 |
| 2.967 | 47 |
| 2.826 | 57 |
| 2.742 | 85 |
| 2.686 | 62 |
| 2.099 | 27 |
| 2.046 | 46 |
| 1.812 | 28 |

Cell and atoms:
Unit cell a=8.2590 b=8.2590 c=5.6536 alpha=108.52 beta=108.52 gamma=42.11
Fractional coordinates of all 18 atoms:
Ca 0.0558 0.4829 0.3394
Ca 0.2092 0.7908 0.5000
Ca 0.4829 0.0558 0.8394
Ca 0.7908 0.2092 0.0000
Al 0.4683 0.8057 0.2142
Al 0.8057 0.4683 0.7142
Mo 0.1364 0.6344 0.9180
Mo 0.6344 0.1364 0.4180
O 0.0644 0.4077 0.7354
O 0.2088 0.8596 0.0941
O 0.3417 0.4671 0.6174
O 0.4077 0.0644 0.2354
O 0.4671 0.3417 0.1174
O 0.5578 0.7190 0.5272
O 0.7190 0.5578 0.0272
O 0.8045 0.9293 0.7186
O 0.8596 0.2088 0.5941
O 0.9293 0.8045 0.2186
____________
Now copy everything earlier on exactly.
Structure and calculated PXRD pattern of Ca2AlMoO5 (the GGA+U geometry in the Materials Project; Cu Kα (λ = 1.5418 Å)).
Intensities are scaled so that the largest is 100.

Principal peaks in the range 10 to 90 degrees two-theta, in order of rising 2θ:
| d (Å) | Rel. int. |
| --- | --- |
| 7.247 | 100 |
| 4.092 | 26 |
| 3.533 | 30 |
| 2.967 | 47 |
| 2.826 | 57 |
| 2.742 | 85 |
| 2.686 | 62 |
| 2.099 | 27 |
| 2.046 | 46 |
| 1.812 | 28 |

Cell and atoms:
Unit cell a=8.2590 b=8.2590 c=5.6536 alpha=108.52 beta=108.52 gamma=42.11
Fractional coordinates of all 18 atoms:
Ca 0.0558 0.4829 0.3394
Ca 0.2092 0.7908 0.5000
Ca 0.4829 0.0558 0.8394
Ca 0.7908 0.2092 0.0000
Al 0.4683 0.8057 0.2142
Al 0.8057 0.4683 0.7142
Mo 0.1364 0.6344 0.9180
Mo 0.6344 0.1364 0.4180
O 0.0644 0.4077 0.7354
O 0.2088 0.8596 0.0941
O 0.3417 0.4671 0.6174
O 0.4077 0.0644 0.2354
O 0.4671 0.3417 0.1174
O 0.5578 0.7190 0.5272
O 0.7190 0.5578 0.0272
O 0.8045 0.9293 0.7186
O 0.8596 0.2088 0.5941
O 0.9293 0.8045 0.2186